== Given ==
- - -
Density functional theory data (PBE) for LaTaSnCl2 after structural relaxation.

The structure in CIF format:
```
data_LaTaSnCl2
_symmetry_space_group_name_H-M 'P 1'
_symmetry_Int_Tables_number 1
_cell_length_a 5.297
_cell_length_b 6.727
_cell_length_c 5.297
_cell_angle_alpha 90.00
_cell_angle_beta 90.00
_cell_angle_gamma 90.00
loop_
_symmetry_equiv_pos_as_xyz
'x,y,z'
loop_
_atom_site_label
_atom_site_type_symbol
_atom_site_fract_x
_atom_site_fract_y
_atom_site_fract_z
_atom_site_occupancy
Sn1 Sn 0.000 0.000 0.000 1
Cl1 Cl 0.500 0.000 0.000 1
Cl2 Cl 0.000 0.000 0.500 1
La1 La 0.000 0.500 0.000 1
Ta1 Ta 0.500 0.500 0.500 1
```

=====

Density functional theory data (PBE) for La3SnTeCl after structural relaxation.

The structure in CIF format:
```
data_La3SnTeCl
_symmetry_space_group_name_H-M 'P 1'
_symmetry_Int_Tables_number 1
_cell_length_a 4.634
_cell_length_b 9.069
_cell_length_c 9.896
_cell_angle_alpha 99.90
_cell_angle_beta 90.00
_cell_angle_gamma 90.00
loop_
_symmetry_equiv_pos_as_xyz
'x,y,z'
loop_
_atom_site_label
_atom_site_type_symbol
_atom_site_fract_x
_atom_site_fract_y
_atom_site_fract_z
_atom_site_occupancy
Sn1 Sn 0.750 0.340 0.838 1
La1 La 0.250 0.103 0.869 1
Cl1 Cl 0.750 0.909 0.422 1
Sn2 Sn 0.250 0.660 0.162 1
La2 La 0.750 0.897 0.131 1
La3 La 0.750 0.254 0.515 1
Te1 Te 0.250 0.169 0.217 1
La4 La 0.250 0.746 0.485 1
Cl2 Cl 0.250 0.091 0.578 1
La5 La 0.750 0.414 0.164 1
La6 La 0.250 0.586 0.836 1
Te2 Te 0.750 0.831 0.783 1
```

=====

Density functional theory data (PBE) for La4SnTe2Cl after structural relaxation.

The structure in CIF format:
```
data_La4SnTe2Cl
_symmetry_space_group_name_H-M 'P 1'
_symmetry_Int_Tables_number 1
_cell_length_a 9.045
_cell_length_b 9.045
_cell_length_c 9.052
_cell_angle_alpha 120.03
_cell_angle_beta 120.03
_cell_angle_gamma 89.85
loop_
_symmetry_equiv_pos_as_xyz
'x,y,z'
loop_
_atom_site_label
_atom_site_type_symbol
_atom_site_fract_x
_atom_site_fract_y
_atom_site_fract_z
_atom_site_occupancy
Te1 Te 0.500 0.500 0.000 1
La1 La 0.247 0.253 0.006 1
Sn1 Sn 0.000 0.500 0.000 1
La2 La 0.247 0.253 0.494 1
Te2 Te 0.500 0.000 0.000 1
La3 La 0.758 0.250 0.004 1
Te3 Te 0.000 0.000 0.500 1
La4 La 0.753 0.747 0.506 1
Te4 Te 0.500 0.000 0.500 1
Cl1 Cl 0.000 0.000 0.000 1
Cl2 Cl 0.500 0.500 0.500 1
La5 La 0.242 0.750 0.996 1
La6 La 0.753 0.747 0.994 1
Sn2 Sn 0.000 0.500 0.500 1
La7 La 0.250 0.742 0.496 1
La8 La 0.750 0.258 0.504 1
```

=====

Density functional theory data (PBE) for LaTlSnCl6 after structural relaxation.

The structure in CIF format:
```
data_LaTlSnCl6
_symmetry_space_group_name_H-M 'P 1'
_symmetry_Int_Tables_number 1
_cell_length_a 7.463
_cell_length_b 7.463
_cell_length_c 13.505
_cell_angle_alpha 90.00
_cell_angle_beta 90.00
_cell_angle_gamma 120.00
loop_
_symmetry_equiv_pos_as_xyz
'x,y,z'
loop_
_atom_site_label
_atom_site_type_symbol
_atom_site_fract_x
_atom_site_fract_y
_atom_site_fract_z
_atom_site_occupancy
Tl1 Tl 0.000 0.000 0.500 1
Cl1 Cl 0.994 0.632 0.364 1
Cl2 Cl 0.368 0.361 0.364 1
Sn1 Sn 0.667 0.333 0.750 1
Tl2 Tl 0.000 0.000 0.000 1
La1 La 0.333 0.667 0.750 1
Sn2 Sn 0.333 0.667 0.250 1
Cl3 Cl 0.639 0.632 0.136 1
Cl4 Cl 0.632 0.994 0.864 1
Cl5 Cl 0.994 0.361 0.136 1
Cl6 Cl 0.006 0.639 0.864 1
Cl7 Cl 0.361 0.368 0.864 1
Cl8 Cl 0.639 0.006 0.364 1
Cl9 Cl 0.361 0.994 0.636 1
Cl10 Cl 0.368 0.006 0.136 1
Cl11 Cl 0.006 0.368 0.636 1
La2 La 0.667 0.333 0.250 1
Cl12 Cl 0.632 0.639 0.636 1
```

=====

no.,spin magnetization (μB per atom),formation energy (no corrections) (meV/atom)
1,0.90,750
2,0.11,-1206
3,0.00,-1397
4,0.00,-1632

* * * * *

Record 1
Entry from Alexandria: a geometry-optimized KPm2SmTe4 structure (PBE-GGA).

```
KPm2SmTe4
1.0
-1.563 -4.154 0.617
5.682 -1.346 5.340
-2.712 2.080 7.141
Te Pm K Sm
4 2 1 1
Direct
0.500 0.238 0.763
0.000 0.753 0.756
0.000 0.247 0.244
0.500 0.762 0.237
0.000 0.000 0.000
0.500 0.000 0.500
0.000 0.500 0.500
0.500 0.500 0.000
```

Calculated values
- - -
== To do ==
Filter the data earlier on: keep the lines with the word "data", please.
== Written answer ==
Density functional theory data (PBE) for LaTaSnCl2 after structural relaxation.
Density functional theory data (PBE) for La3SnTeCl after structural relaxation.
Density functional theory data (PBE) for La4SnTe2Cl after structural relaxation.
Density functional theory data (PBE) for LaTlSnCl6 after structural relaxation.